It remains to give back all of the notes underneath unchanged.

Entry from the Materials Project: a relaxed structure of Cs2Pr10Ru2I17 (PBE).

- crystal system = monoclinic
- space group = No. 12
- formation energy from the elements (eV/atom) = -1.47
- E_tot (eV per atom) = -4.295
- spin magnetization (μB per formula unit) = 2.94

Unit cell a=11.7974 b=11.7974 c=10.1901 alpha=86.31 beta=86.31 gamma=107.41
With the nearest neighbours (Å) after each atom.
Fractional coordinates of all 31 atoms:
Cs 0.3257 0.6743 0.0000  12 I 4.25-4.55
Cs 0.6743 0.3257 0.0000  12 I 4.25-4.55
Pr 0.7927 0.7927 0.1810  1 Ru 2.81
Pr 0.3287 0.3287 0.4445  1 Ru 2.80
Pr 0.2900 0.9945 0.5723  1 Ru 2.81
Pr 0.0651 0.0651 0.3120  2 Ru 2.92-2.99
Pr 0.0055 0.7100 0.4277  1 Ru 2.81
Pr 0.9945 0.2900 0.5723  1 Ru 2.81
Pr 0.2073 0.2073 0.8190  1 Ru 2.81
Pr 0.6713 0.6713 0.5555  1 Ru 2.80
Pr 0.9349 0.9349 0.6880  2 Ru 2.92-2.99
Pr 0.7100 0.0055 0.4277  1 Ru 2.81
Ru 0.1400 0.1400 0.5690  6 Pr 2.80-2.99
Ru 0.8600 0.8600 0.4310  6 Pr 2.80-2.99
I 0.8111 0.4738 0.5785  3 Pr 3.24-3.49
I 0.0000 0.0000 0.0000  4 Pr 3.26-3.40
I 0.4365 0.4365 0.7164  3 Pr 3.26-3.50
I 0.9498 0.6167 0.1407  2 Pr 3.20-3.23
I 0.1889 0.5262 0.4215  3 Pr 3.24-3.49
I 0.6167 0.9498 0.1407  2 Pr 3.20-3.23
I 0.5635 0.5635 0.2836  3 Pr 3.26-3.50
I 0.2884 0.2884 0.1332  3 Pr 3.28-3.51
I 0.1002 0.7540 0.7233  3 Pr 3.26-3.31
I 0.3833 0.0502 0.8593  2 Pr 3.20-3.23
I 0.0502 0.3833 0.8593  2 Pr 3.20-3.23
I 0.8998 0.2460 0.2767  3 Pr 3.26-3.31
I 0.7540 0.1002 0.7233  3 Pr 3.26-3.31
I 0.4738 0.8111 0.5785  3 Pr 3.24-3.49
I 0.7116 0.7116 0.8668  3 Pr 3.28-3.51
I 0.5262 0.1889 0.4215  3 Pr 3.24-3.49
I 0.2460 0.8998 0.2767  3 Pr 3.26-3.31

Entry from the Materials Project: a relaxed structure of Cs2Pr10Ru2I17 (PBE).

- crystal system = monoclinic
- space group = No. 12
- formation energy from the elements (eV/atom) = -1.47
- E_tot (eV per atom) = -4.295
- spin magnetization (μB per formula unit) = 2.94

Unit cell a=11.7974 b=11.7974 c=10.1901 alpha=86.31 beta=86.31 gamma=107.41
With the nearest neighbours (Å) after each atom.
Fractional coordinates of all 31 atoms:
Cs 0.3257 0.6743 0.0000  12 I 4.25-4.55
Cs 0.6743 0.3257 0.0000  12 I 4.25-4.55
Pr 0.7927 0.7927 0.1810  1 Ru 2.81
Pr 0.3287 0.3287 0.4445  1 Ru 2.80
Pr 0.2900 0.9945 0.5723  1 Ru 2.81
Pr 0.0651 0.0651 0.3120  2 Ru 2.92-2.99
Pr 0.0055 0.7100 0.4277  1 Ru 2.81
Pr 0.9945 0.2900 0.5723  1 Ru 2.81
Pr 0.2073 0.2073 0.8190  1 Ru 2.81
Pr 0.6713 0.6713 0.5555  1 Ru 2.80
Pr 0.9349 0.9349 0.6880  2 Ru 2.92-2.99
Pr 0.7100 0.0055 0.4277  1 Ru 2.81
Ru 0.1400 0.1400 0.5690  6 Pr 2.80-2.99
Ru 0.8600 0.8600 0.4310  6 Pr 2.80-2.99
I 0.8111 0.4738 0.5785  3 Pr 3.24-3.49
I 0.0000 0.0000 0.0000  4 Pr 3.26-3.40
I 0.4365 0.4365 0.7164  3 Pr 3.26-3.50
I 0.9498 0.6167 0.1407  2 Pr 3.20-3.23
I 0.1889 0.5262 0.4215  3 Pr 3.24-3.49
I 0.6167 0.9498 0.1407  2 Pr 3.20-3.23
I 0.5635 0.5635 0.2836  3 Pr 3.26-3.50
I 0.2884 0.2884 0.1332  3 Pr 3.28-3.51
I 0.1002 0.7540 0.7233  3 Pr 3.26-3.31
I 0.3833 0.0502 0.8593  2 Pr 3.20-3.23
I 0.0502 0.3833 0.8593  2 Pr 3.20-3.23
I 0.8998 0.2460 0.2767  3 Pr 3.26-3.31
I 0.7540 0.1002 0.7233  3 Pr 3.26-3.31
I 0.4738 0.8111 0.5785  3 Pr 3.24-3.49
I 0.7116 0.7116 0.8668  3 Pr 3.28-3.51
I 0.5262 0.1889 0.4215  3 Pr 3.24-3.49
I 0.2460 0.8998 0.2767  3 Pr 3.26-3.31